_Excerpt_
=====
Here is a relaxed LiAlTl2 crystal from the Alexandria database. Energies are from PBE-GGA.

* symmetry: C2/m
* N(E_F): 1.07 states/eV per cell

Structure (POSCAR):
```
LiAlTl2
1.0
4.960 -0.037 0.022
3.807 3.179 0.022
1.098 0.394 5.828
Tl Li Al
2 1 1
Direct
0.000 0.000 0.998
0.500 0.500 0.502
0.750 0.750 0.750
0.250 0.250 0.250
```

Here is a relaxed LiAlTl crystal from the Alexandria database. Energies are from PBE-GGA.

* offset from the most stable computed form: 0.000 eV/atom
* symmetry: C2/m
* N(E_F): 1.57 states/eV per cell

Structure (POSCAR):
```
LiAlTl
1.0
-5.160 0.365 -1.608
2.101 -2.617 1.787
-0.181 13.256 3.590
Tl Li Al
2 2 2
Direct
0.761 0.521 0.758
0.239 0.479 0.242
0.440 0.881 0.094
0.560 0.119 0.906
0.897 0.795 0.574
0.103 0.205 0.426
```

Here is a relaxed LiAl4Tl crystal from the Alexandria database. Energies are from PBE-GGA.

* symmetry: F-43m
* N(E_F): 2.10 states/eV per cell

Structure (POSCAR):
```
LiAl4Tl
1.0
0.000 3.928 3.928
3.928 0.000 3.928
3.928 3.928 0.000
Tl Li Al
1 1 4
Direct
0.000 0.000 0.000
0.750 0.750 0.750
0.376 0.376 0.872
0.376 0.376 0.376
0.872 0.376 0.376
0.376 0.872 0.376
```

Here is a relaxed LiAl2Tl crystal from the Alexandria database. Energies are from PBE-GGA.

* offset from the most stable computed form: 0.038 eV/atom
* symmetry: Pmmm
* N(E_F): 1.58 states/eV per cell

Structure (POSCAR):
```
LiAl2Tl
1.0
3.407 0.000 0.000
0.000 4.502 0.000
0.000 0.000 5.208
Al Li Tl
2 1 1
Direct
0.500 0.500 0.000
0.000 0.000 0.000
0.500 0.000 0.500
0.000 0.500 0.500
```

Here is a relaxed LiAlTl crystal from the Alexandria database. Energies are from PBE-GGA.

* offset from the most stable computed form: 0.165 eV/atom
* symmetry: F-43m
* N(E_F): 1.92 states/eV per cell

Structure (POSCAR):
```
LiAlTl
1.0
4.511 0.000 0.000
2.255 3.906 0.000
2.255 1.302 3.683
Al Li Tl
1 1 1
Direct
0.500 0.500 0.500
0.750 0.750 0.750
0.000 0.000 0.000
```

Here is a relaxed LiAl2Tl crystal from the Alexandria database. Energies are from PBE-GGA.

* offset from the most stable computed form: 0.030 eV/atom
* symmetry: F222
* N(E_F): 1.51 states/eV per cell

Structure (POSCAR):
```
LiAl2Tl
1.0
-0.396 -3.428 -3.870
1.374 -4.669 1.788
-3.378 3.498 1.823
Tl Al Li
1 2 1
Direct
0.250 0.750 0.500
0.000 0.000 0.000
0.750 0.250 0.500
0.500 0.500 0.000
```

Here is a relaxed LiAlTl2 crystal from the Alexandria database. Energies are from PBE-GGA.

* symmetry: F-43m
* N(E_F): 2.25 states/eV per cell

Structure (POSCAR):
```
LiAlTl2
1.0
-2.630 -2.941 3.330
1.788 -4.669 1.291
1.864 -0.830 4.743
Tl Li Al
2 1 1
Direct
0.000 0.000 0.000
0.750 0.750 0.750
0.250 0.250 0.250
0.500 0.500 0.500
```

Here is a relaxed LiAlTl2 crystal from the Alexandria database. Energies are from PBE-GGA.

* symmetry: I-4m2
* N(E_F): 1.67 states/eV per cell

Structure (POSCAR):
```
LiAlTl2
1.0
-4.867 3.257 -0.020
-3.509 -0.379 4.673
5.708 0.841 -1.000
Tl Li Al
2 1 1
Direct
0.250 0.750 0.500
0.000 0.000 0.000
0.750 0.250 0.500
0.500 0.500 0.000
```

Here is a relaxed Li7AlTl4 crystal from the Alexandria database. Energies are from PBE-GGA.

* symmetry: C2/m
* N(E_F): 4.84 states/eV per cell

Structure (POSCAR):
```
Li7AlTl4
1.0
5.098 0.000 0.000
2.549 7.577 1.191
2.549 1.494 6.696
Li Tl Al
7 4 1
Direct
0.805 0.880 0.509
0.775 0.251 0.199
0.225 0.749 0.801
0.500 0.000 0.000
0.925 0.416 0.734
0.195 0.120 0.491
0.075 0.584 0.266
0.317 0.347 0.018
0.683 0.653 0.982
0.571 0.275 0.583
0.429 0.725 0.417
0.000 0.000 0.000
```

Here is a relaxed LiAlTl crystal from the Alexandria database. Energies are from PBE-GGA.

* offset from the most stable computed form: 0.042 eV/atom
* symmetry: P3m1
* N(E_F): 1.41 states/eV per cell

Structure (POSCAR):
```
LiAlTl
1.0
4.872 0.000 0.000
-2.436 4.219 0.000
0.000 0.000 3.137
Tl Li Al
1 1 1
Direct
0.333 0.667 0.831
0.667 0.333 0.334
0.000 0.000 0.835
```

Here is a relaxed LiAl2Tl crystal from the Alexandria database. Energies are from PBE-GGA.

* offset from the most stable computed form: 0.046 eV/atom
* symmetry: F-43m
=====

_Wanted_
Next, write out the whole of the lines above unchanged.

_Result_
Here is a relaxed LiAlTl2 crystal from the Alexandria database. Energies are from PBE-GGA.

* symmetry: C2/m
* N(E_F): 1.07 states/eV per cell

Structure (POSCAR):
```
LiAlTl2
1.0
4.960 -0.037 0.022
3.807 3.179 0.022
1.098 0.394 5.828
Tl Li Al
2 1 1
Direct
0.000 0.000 0.998
0.500 0.500 0.502
0.750 0.750 0.750
0.250 0.250 0.250
```

Here is a relaxed LiAlTl crystal from the Alexandria database. Energies are from PBE-GGA.

* offset from the most stable computed form: 0.000 eV/atom
* symmetry: C2/m
* N(E_F): 1.57 states/eV per cell

Structure (POSCAR):
```
LiAlTl
1.0
-5.160 0.365 -1.608
2.101 -2.617 1.787
-0.181 13.256 3.590
Tl Li Al
2 2 2
Direct
0.761 0.521 0.758
0.239 0.479 0.242
0.440 0.881 0.094
0.560 0.119 0.906
0.897 0.795 0.574
0.103 0.205 0.426
```

Here is a relaxed LiAl4Tl crystal from the Alexandria database. Energies are from PBE-GGA.

* symmetry: F-43m
* N(E_F): 2.10 states/eV per cell

Structure (POSCAR):
```
LiAl4Tl
1.0
0.000 3.928 3.928
3.928 0.000 3.928
3.928 3.928 0.000
Tl Li Al
1 1 4
Direct
0.000 0.000 0.000
0.750 0.750 0.750
0.376 0.376 0.872
0.376 0.376 0.376
0.872 0.376 0.376
0.376 0.872 0.376
```

Here is a relaxed LiAl2Tl crystal from the Alexandria database. Energies are from PBE-GGA.

* offset from the most stable computed form: 0.038 eV/atom
* symmetry: Pmmm
* N(E_F): 1.58 states/eV per cell

Structure (POSCAR):
```
LiAl2Tl
1.0
3.407 0.000 0.000
0.000 4.502 0.000
0.000 0.000 5.208
Al Li Tl
2 1 1
Direct
0.500 0.500 0.000
0.000 0.000 0.000
0.500 0.000 0.500
0.000 0.500 0.500
```

Here is a relaxed LiAlTl crystal from the Alexandria database. Energies are from PBE-GGA.

* offset from the most stable computed form: 0.165 eV/atom
* symmetry: F-43m
* N(E_F): 1.92 states/eV per cell

Structure (POSCAR):
```
LiAlTl
1.0
4.511 0.000 0.000
2.255 3.906 0.000
2.255 1.302 3.683
Al Li Tl
1 1 1
Direct
0.500 0.500 0.500
0.750 0.750 0.750
0.000 0.000 0.000
```

Here is a relaxed LiAl2Tl crystal from the Alexandria database. Energies are from PBE-GGA.

* offset from the most stable computed form: 0.030 eV/atom
* symmetry: F222
* N(E_F): 1.51 states/eV per cell

Structure (POSCAR):
```
LiAl2Tl
1.0
-0.396 -3.428 -3.870
1.374 -4.669 1.788
-3.378 3.498 1.823
Tl Al Li
1 2 1
Direct
0.250 0.750 0.500
0.000 0.000 0.000
0.750 0.250 0.500
0.500 0.500 0.000
```

Here is a relaxed LiAlTl2 crystal from the Alexandria database. Energies are from PBE-GGA.

* symmetry: F-43m
* N(E_F): 2.25 states/eV per cell

Structure (POSCAR):
```
LiAlTl2
1.0
-2.630 -2.941 3.330
1.788 -4.669 1.291
1.864 -0.830 4.743
Tl Li Al
2 1 1
Direct
0.000 0.000 0.000
0.750 0.750 0.750
0.250 0.250 0.250
0.500 0.500 0.500
```

Here is a relaxed LiAlTl2 crystal from the Alexandria database. Energies are from PBE-GGA.

* symmetry: I-4m2
* N(E_F): 1.67 states/eV per cell

Structure (POSCAR):
```
LiAlTl2
1.0
-4.867 3.257 -0.020
-3.509 -0.379 4.673
5.708 0.841 -1.000
Tl Li Al
2 1 1
Direct
0.250 0.750 0.500
0.000 0.000 0.000
0.750 0.250 0.500
0.500 0.500 0.000
```

Here is a relaxed Li7AlTl4 crystal from the Alexandria database. Energies are from PBE-GGA.

* symmetry: C2/m
* N(E_F): 4.84 states/eV per cell

Structure (POSCAR):
```
Li7AlTl4
1.0
5.098 0.000 0.000
2.549 7.577 1.191
2.549 1.494 6.696
Li Tl Al
7 4 1
Direct
0.805 0.880 0.509
0.775 0.251 0.199
0.225 0.749 0.801
0.500 0.000 0.000
0.925 0.416 0.734
0.195 0.120 0.491
0.075 0.584 0.266
0.317 0.347 0.018
0.683 0.653 0.982
0.571 0.275 0.583
0.429 0.725 0.417
0.000 0.000 0.000
```

Here is a relaxed LiAlTl crystal from the Alexandria database. Energies are from PBE-GGA.

* offset from the most stable computed form: 0.042 eV/atom
* symmetry: P3m1
* N(E_F): 1.41 states/eV per cell

Structure (POSCAR):
```
LiAlTl
1.0
4.872 0.000 0.000
-2.436 4.219 0.000
0.000 0.000 3.137
Tl Li Al
1 1 1
Direct
0.333 0.667 0.831
0.667 0.333 0.334
0.000 0.000 0.835
```

Here is a relaxed LiAl2Tl crystal from the Alexandria database. Energies are from PBE-GGA.

* offset from the most stable computed form: 0.046 eV/atom
* symmetry: F-43m